Hi.....I take 900mg of gabapentin at 7.30pm and a further 900mg on retiring around 10.30pm. I find this controls my RLS early evening and I sleep reasonably well, however, I am waking early, around 5.30am with severe RLS in my legs and then cannot get back to sleep. Is there a solution to this to enable me to sleep longer?
Gabapentin and waking early - Restless Legs Syn...
Gabapentin and waking early

First off you are taking your gabapentin wrong. Any dose above 600 mg is not fully absorbed. I would suggest 600 mg at 10:30, 600 mg at 8:30, 600 mg at 6:30 and assuming you get up in the middle of the night to go to the bathroom, 600 mg then. But you are getting 7 hours of sleep. Most people on this site would love it if they got that much. If you live in the US you could switch to Horizant which lasts 24 hours. If you do post back here because there is a way to get it much cheaper as it is very expensive.
Hi Sue.....thank you for this reply. You've suggested 2400mg spread throughout the evening. is this OK? I've been pescribed 1800mg per day. I am in the UK. I do realise I'm lucky to get 7 hours sleep most nights but I'm glad to get the dosage correct. So grateful to this site as I was on pramipexole and was suffering augmentation until going on here when I switched to gabapentin.
Whoops - I added up 900 + 900 and got 2100. It's obviously was too early in the morning when I replied after getting only 5-1/2 hours sleep - not because of RLS. OK so let's try again. Take 600 at 10:30, 600 at 8:30, 300 at 6:30 leaving 300 for waking up in the night.
**These calculated crystals were left in the entry by mistake**
┌──
[1]
This record from the Materials Project describes a relaxed structure of Cs2GdCl5. The functional is PBE.

a b c (Å): 7.6315 9.7955 15.5946
angles (deg): 90.00 90.00 90.00
Closest atoms and distances in Å follow each position.
Element x y z (fractional)
Cl (0.4964, 0.6659, 0.1187)  1 Gd 2.60
Cl (0.7500, 0.9816, 0.2015)  1 Gd 2.63
Cl (0.5000, 0.5000, 0.5000)  2 Gd 2.78
Cl (0.4964, 0.1659, 0.3813)  1 Gd 2.60
Cl (0.0000, 0.0000, 0.0000)  2 Gd 2.78
Cl (0.2500, 0.2883, 0.0924)  1 Gd 2.69
Cl (0.0036, 0.6659, 0.1187)  1 Gd 2.60
Cl (0.5036, 0.8341, 0.6187)  1 Gd 2.60
Cl (0.7500, 0.7117, 0.9076)  1 Gd 2.69
Cl (0.7500, 0.2117, 0.5924)  1 Gd 2.69
Cl (0.2500, 0.5184, 0.7015)  1 Gd 2.63
Cl (0.2500, 0.0184, 0.7985)  1 Gd 2.63
Cl (0.0036, 0.1659, 0.3813)  1 Gd 2.60
Cl (0.9964, 0.8341, 0.6187)  1 Gd 2.60
Cl (0.5036, 0.3341, 0.8813)  1 Gd 2.60
Cl (0.7500, 0.4816, 0.2985)  1 Gd 2.63
Cl (0.0000, 0.5000, 0.5000)  2 Gd 2.78
Cl (0.5000, 0.0000, 0.0000)  2 Gd 2.78
Cl (0.9964, 0.3341, 0.8813)  1 Gd 2.60
Cl (0.2500, 0.7883, 0.4076)  1 Gd 2.69
Gd (0.2500, 0.1777, 0.9346)  6 Cl 2.60-2.78
Gd (0.7500, 0.3223, 0.4346)  6 Cl 2.60-2.78
Gd (0.7500, 0.8223, 0.0654)  6 Cl 2.60-2.78
Gd (0.2500, 0.6777, 0.5654)  6 Cl 2.60-2.78
Cs (0.2500, 0.4758, 0.2875)  10 Cl 3.55-3.86
Cs (0.7500, 0.0242, 0.7875)  10 Cl 3.55-3.86
Cs (0.2500, 0.9758, 0.2125)  10 Cl 3.55-3.86
Cs (0.7500, 0.3350, 0.0835)  10 Cl 3.65-4.01
Cs (0.7500, 0.8350, 0.4165)  10 Cl 3.65-4.01
Cs (0.2500, 0.6650, 0.9165)  10 Cl 3.65-4.01
Cs (0.7500, 0.5242, 0.7125)  10 Cl 3.55-3.86
Cs (0.2500, 0.1650, 0.5835)  10 Cl 3.65-4.01

Values from the calculation:
For the calculated density, the calculation gives 3420 kg/m3. The value obtained for the total DFT energy (no corrections) is -170.4 eV/cell.

---

[2]
This record from the Materials Project describes a relaxed structure of Ba2ClF3. The functional is PBE.

a b c (Å): 4.4977 4.4977 7.5008
angles (deg): 90.00 90.00 120.00
Closest atoms and distances in Å follow each position.
Element x y z (fractional)
Ba (0.6667, 0.3333, 0.2012)  4 F 2.61-2.74
Ba (0.3333, 0.6667, 0.7988)  4 F 2.61-2.74
Cl (0.0000, 0.0000, 0.5000)  6 Ba 3.43, 8 F 3.62-3.75
F (0.6667, 0.3333, 0.8357)  4 Ba 2.61-2.74, 3 F 2.87
F (0.3333, 0.6667, 0.1643)  4 Ba 2.61-2.74, 3 F 2.87
F (0.0000, 0.0000, 0.0000)  6 F 2.87, 6 Ba 3.00

Values from the calculation:
The total moment comes out at 0.0 μB/f.u. For the calculated density, the calculation gives 4639 kg/m3. The value obtained for the total DFT energy (no corrections) is -32.4 eV/cell.

---

[3]
This record from the Materials Project describes a relaxed structure of Pr2S3O12. The functional is PBE.

a b c (Å): 11.4017 11.4017 7.0619
angles (deg): 73.55 73.55 34.67
Closest atoms and distances in Å follow each position.
Element x y z (fractional)
O (0.0200, 0.0918, 0.6438)  1 S 1.50
O (0.9082, 0.9800, 0.8562)  1 S 1.50
O (0.3422, 0.9615, 0.6998)  1 S 1.52
O (0.6925, 0.2601, 0.6111)  1 S 1.48
O (0.0918, 0.0200, 0.1438)  1 S 1.50
O (0.9615, 0.3422, 0.1998)  1 S 1.52
└──
**End of the calculated crystals**
So the problem is really that severe RLS symptoms are waking you early and/or stopping you getting back to sleep. Hopefully Sue's suggested change to your Gabapentin regime will sort the RLS, and hopefully that will help you stay asleep or get back to sleep.
However, whether you'll still wake up early can depend on various factors including age, stress levels etc...
I have my RLS pretty much under control at present (looking around desperately for some wood to touch!) but rarely get to sleep in: 5:30 this morning, 3:30 yesterday (although I did then get back to sleep for an hour at 6) etc etc.
When I dropped from 300mg of pregabalin to 250mg, my legs would wake me around 6am. On the slightly higher dose of pregabalin, I'd sleep an hour or two longer and not experience any (discernible) leg movement.So it may also be to do with dose as well as timing.

Thank you

Thank you
I take my gabapentin 3-4 hrs before bed, sometimes 2 hrs. But any later than that I was plagued with “restlessness”. My doctor also prescribed trazodone 50 mg right at bedtime. That is supposed to keep you asleep vs helping to fall asleep and it has successfully kept me asleep through the night.
Hi! I also take Gabapentin, and it has been really helpful for me in managing nerve pain and other issues. I used high-quality Gabapentin, which made a crucial difference, from this website - fast-supply24.com/buy-neuro....
In your case, waking up early with RLS could be related to how the medication's effects wear off overnight. One solution might be to try splitting your dosage into three smaller doses throughout the day, rather than just two. For example, you could take one dose in the morning, one in the afternoon, and one before bed. This way, the medication might maintain more consistent levels in your system and help reduce RLS symptoms during the early morning hours.
It might also be worth discussing this with your doctor, as they may adjust the dose or timing to better suit your needs. Stay healthy!